_Contents_
********
VASP calculation (GGA-PBEsol) on a geometry-optimized InAu5 structure.

Properties
Formation enthalpy at 0 K = 30 meV/atom
Fermi-level density of states = 1.95 states/eV per cell
VASP energy = -22.424 eV/cell

a b c (Å): 4.642 5.440 5.440
angles (deg): 120.00 90.00 90.00
Fractional coordinates of all 6 atoms:
Au (0.500, 0.500, 0.500)
Au (0.000, 0.667, 0.333)
Au (0.000, 0.333, 0.667)
Au (0.500, 0.000, 0.500)
Au (0.500, 0.500, 0.000)
In (0.000, 0.000, 0.000)
********
_What to do_
It remains to give back the calculation results further above from the first line to the one with "(Å): 4.642" with every line break kept.
_Here it is_
VASP calculation (GGA-PBEsol) on a geometry-optimized InAu5 structure.

Properties
Formation enthalpy at 0 K = 30 meV/atom
Fermi-level density of states = 1.95 states/eV per cell
VASP energy = -22.424 eV/cell

a b c (Å): 4.642 5.440 5.440